- Lock the Gate accuses Department of Planning of bogus biodiversity offset “stitch-up” despite extinction risk
- Opaque mine assessment process is failing to address cumulative impact
A public hearing for the latest large new coal mine proposed for the Hunter Valley will take place in Singleton today, despite crucial information not being available about the project’s cumulative impact, leading to accusations the Department of Planning is failing in its duty to the public
The United Wambo mine would open a deep new pit at the shuttered United mine and deepen the Wambo mine open cut.
Lock the Gate spokesperson, Georgina Woods, said, “With this new proposal, there would be 25 kilometres of nearly uninterrupted open cuts between Broke and Jerry’s Plains, straddling two major waterways and causing cumulative noise and air pollution.
“The cumulative damage being done to water and biodiversity and the cumulative noise and air pollution from mining is a disgrace but the public hearing is going to be held without the public having access to accurate and impartial information about the damage.”
**Data records that have nothing to do with the entry:**
=====
Simulated PXRD pattern of SnF2 for Cu Kα (λ = 1.5418 Å), from a crystal structure in the Materials Project, relaxed with PBE.

Most intense lines, 5° ≤ 2θ ≤ 70°, by angle:
3.693 Å, 2θ 24.10, I 100.0, (1 1 2); 3.460 Å, 2θ 25.75, I 35.0, (2 0 -4); 3.267 Å, 2θ 27.30, I 57.5, (3 1 -2); 3.182 Å, 2θ 28.04, I 31.7, (4 0 0); 2.132 Å, 2θ 42.40, I 26.7, (1 1 -6); 1.998 Å, 2θ 45.39, I 39.1, (5 1 2)

Cell and atoms:
```
data_SnF2
_cell_length_a 13.393
_cell_length_b 5.135
_cell_length_c 14.200
_cell_angle_alpha 90.00
_cell_angle_beta 108.15
_cell_angle_gamma 90.00
_space_group_name_H-M_alt 'C 1 2/c 1'
_space_group_IT_number 15
loop_
_space_group_symop_operation_xyz
'x,y,z'
'-x,-y,-z'
'-x,y,-z+1/2'
'x,-y,z+1/2'
'x+1/2,y+1/2,z'
'-x+1/2,-y+1/2,-z'
'-x+1/2,y+1/2,-z+1/2'
'x+1/2,-y+1/2,z+1/2'
loop_
_atom_site_label
_atom_site_fract_x
_atom_site_fract_y
=====
Lock the Gate Alliance is accusing the Department of Planning of rubber-stamping a biodiversity offsetting stitch up to let the United Wambo mine clear over 200 hectares of a nationally critically endangered woodland despite warnings the ecological community could become extinct in a few decades.
The remnant proposed to be bulldozed for the new mine is in moderate to good condition, which means, according to the Commonwealth Government’s conservation advice it is “critical to the survival” of the community overall.
Lock the Gate estimates there has been cumulative clearing of over 3,000 hectares of the Central Hunter Valley Eucalypt Forest and Woodland for coal mines since 2007.
But last month the Department of Planning recommended the mine proceed because the proponent, a joint venture of Glencore and Peabody Australia, had an adequate offset package to compensate for the loss.
Lock the Gate says that the offset package being proposed by the company is incomplete, and up to a third of the area put forward by the company as compensatory habitat is their own mining pits with the promise they will be rehabilitated into the future.
“We have tried to get more information to understand why the Department of Planning is recommending this mine for approval without the assessment being complete but we’ve been stonewalled.
“The Hunter region has lost too much of its bushland already. When we clear their habitat, woodland birds and bats have nowhere to go. Promises of rehabilitation decades into the future cannot compensate for clearing wildlife habitat now.
“The Department of Planning is letting mining companies bulldoze the Hunter Valley into a silent and lifeless landscape. When it comes to critically endangered forests, we can’t afford to lose any more. This mine must not be allowed to proceed.”